# What to do
It remains to write out everything below verbatim.
# Input
Computed, not measured: an optimized crystal structure of CuWO4 at the PBE with a Hubbard U level of DFT.

```
CuWO4
1.0
6.820 0.000 0.000
0.000 9.034 0.000
-0.104 0.000 12.128
Cu W O
8 8 32
Direct
0.126 0.041 0.109
0.126 0.459 0.609
0.321 0.614 0.108
0.321 0.886 0.608
0.679 0.114 0.392
0.679 0.386 0.892
0.874 0.541 0.391
0.874 0.959 0.891
0.092 0.602 0.862
0.092 0.898 0.362
0.395 0.058 0.877
0.395 0.442 0.377
0.605 0.558 0.623
0.605 0.942 0.123
0.908 0.102 0.638
0.908 0.398 0.138
0.036 0.573 0.113
0.036 0.927 0.613
0.084 0.246 0.620
0.084 0.254 0.120
0.143 0.010 0.918
0.143 0.490 0.418
0.182 0.610 0.720
0.182 0.890 0.220
0.304 0.634 0.951
0.304 0.866 0.451
0.382 0.006 0.734
0.382 0.494 0.234
0.401 0.066 0.070
0.401 0.434 0.570
0.450 0.246 0.376
0.450 0.254 0.876
0.550 0.746 0.124
0.550 0.754 0.624
0.599 0.566 0.430
0.599 0.934 0.930
0.618 0.506 0.766
0.618 0.994 0.266
0.696 0.134 0.549
0.696 0.366 0.049
0.818 0.110 0.780
0.818 0.390 0.280
0.857 0.510 0.582
0.857 0.990 0.082
0.916 0.746 0.880
0.916 0.754 0.380
0.964 0.073 0.387
0.964 0.427 0.887
```

Output
theoretical density = 5.54 g/cm3
MP2020-corrected energy = -7.7587 eV/atom
relative energy among the computed polymorphs = 84 meV/atom
ΔH_f (0 K) = -1.62 eV/atom

=====

# Na5Zr2Nb2Si5PO24 | the Materials Project | GGA-PBE | optimized geometry
data_Na5Zr2Nb2Si5PO24
_chemical_formula_sum 'Na15 Zr6 Nb6 Si15 P3 O72'
_space_group_name_H-M_alt 'P 1'
_space_group_IT_number 1
_cell_length_a 9.1112
_cell_length_b 9.1153
_cell_length_c 22.8814
_cell_angle_alpha 89.86
_cell_angle_beta 89.92
_cell_angle_gamma 60.05
loop_
_space_group_symop_operation_xyz
'x,y,z'
loop_
_atom_site_label
_atom_site_fract_x
_atom_site_fract_y
_atom_site_fract_z
_atom_site_occupancy
Na1 0.0000 0.0000 0.0000 1
Na2 0.0001 0.6317 0.2439 1
Na3 0.0068 0.6217 0.7490 1
Na4 0.0328 0.9347 0.6604 1
Na5 0.3049 0.2918 0.6596 1
Na6 0.3298 0.3294 0.3307 1
Na7 0.3326 0.9693 0.5735 1
Na8 0.3350 0.9709 0.0865 1
Na9 0.6350 0.6267 0.9998 1
Na10 0.6547 0.3073 0.9154 1
Na11 0.6642 0.2950 0.4182 1
Na12 0.6674 0.6666 0.6631 1
Na13 0.6979 0.6065 0.3298 1
Na14 0.7004 0.9608 0.8306 1
Na15 0.9738 0.9578 0.3310 1
Zr1 0.0022 0.6299 0.5955 1
Zr2 0.0034 0.6318 0.3964 1
Zr3 0.3321 0.9684 0.7305 1
Zr4 0.3344 0.9604 0.2247 1
Zr5 0.6643 0.2976 0.0598 1
Zr6 0.6711 0.2893 0.5566 1
Nb1 0.0062 0.6255 0.8930 1
Nb2 0.3301 0.9685 0.4334 1
Nb3 0.3342 0.9669 0.9337 1
Nb4 0.6724 0.2956 0.2643 1
Nb5 0.6748 0.2968 0.7704 1
Nb6 0.9978 0.6328 0.1022 1
Si1 0.0062 0.9260 0.4959 1
Si2 0.0068 0.3415 0.9974 1
Si3 0.0433 0.2542 0.3288 1
Si4 0.0441 0.9619 0.8304 1
Si5 0.2880 0.6313 0.9967 1
Si6 0.2977 0.3315 0.4961 1
Si7 0.3326 0.2596 0.8297 1
Si8 0.3374 0.6723 0.3301 1
Si9 0.6230 0.9660 0.3293 1
Si10 0.6260 0.6705 0.8309 1
Si11 0.6681 0.0065 0.6648 1
Si12 0.6702 0.5896 0.1609 1
Si13 0.7119 0.9177 0.9955 1
Si14 0.9584 0.2980 0.6633 1
Si15 0.9605 0.0032 0.1608 1
P1 0.3740 0.3034 0.1636 1
P2 0.3827 0.5826 0.6644 1
P3 0.7010 0.6359 0.4960 1
O1 0.0098 0.4460 0.3363 1
O2 0.0103 0.8022 0.8373 1
O3 0.0291 0.8129 0.5554 1
O4 0.0324 0.4349 0.0543 1
O5 0.1338 0.1272 0.3860 1
O6 0.1387 0.9889 0.8874 1
O7 0.1443 0.9873 0.1668 1
O8 0.1463 0.1284 0.6685 1
O9 0.1515 0.9339 0.7711 1
O10 0.1641 0.6644 0.0531 1
O11 0.1670 0.1715 0.2736 1
O12 0.1674 0.4466 0.8381 1
O13 0.1727 0.1507 0.9888 1
O14 0.1730 0.6455 0.3360 1
O15 0.1809 0.9363 0.4894 1
O16 0.1826 0.4188 0.5555 1
O17 0.1901 0.6119 0.9391 1
O18 0.2000 0.4661 0.1585 1
O19 0.2038 0.4437 0.4381 1
O20 0.2044 0.5985 0.6602 1
O21 0.2958 0.7962 0.2741 1
O22 0.3016 0.8062 0.9892 1
O23 0.3037 0.1792 0.7703 1
O24 0.3145 0.1433 0.4893 1
O25 0.3557 0.1449 0.1685 1
O26 0.3595 0.7626 0.6710 1
O27 0.3647 0.1272 0.8848 1
O28 0.3733 0.7635 0.3863 1
O29 0.4635 0.3231 0.2196 1
O30 0.4697 0.4696 0.7192 1
O31 0.4792 0.4714 0.9986 1
O32 0.4814 0.3177 0.5003 1
O33 0.4846 0.2802 0.1097 1
O34 0.4915 0.5058 0.6104 1
O35 0.4971 0.0006 0.3862 1
O36 0.5025 0.9803 0.6690 1
O37 0.5045 0.7666 0.8882 1
O38 0.5071 0.7769 0.1668 1
O39 0.5088 0.2671 0.8246 1
# Worked solution
Computed, not measured: an optimized crystal structure of CuWO4 at the PBE with a Hubbard U level of DFT.

```
CuWO4
1.0
6.820 0.000 0.000
0.000 9.034 0.000
-0.104 0.000 12.128
Cu W O
8 8 32
Direct
0.126 0.041 0.109
0.126 0.459 0.609
0.321 0.614 0.108
0.321 0.886 0.608
0.679 0.114 0.392
0.679 0.386 0.892
0.874 0.541 0.391
0.874 0.959 0.891
0.092 0.602 0.862
0.092 0.898 0.362
0.395 0.058 0.877
0.395 0.442 0.377
0.605 0.558 0.623
0.605 0.942 0.123
0.908 0.102 0.638
0.908 0.398 0.138
0.036 0.573 0.113
0.036 0.927 0.613
0.084 0.246 0.620
0.084 0.254 0.120
0.143 0.010 0.918
0.143 0.490 0.418
0.182 0.610 0.720
0.182 0.890 0.220
0.304 0.634 0.951
0.304 0.866 0.451
0.382 0.006 0.734
0.382 0.494 0.234
0.401 0.066 0.070
0.401 0.434 0.570
0.450 0.246 0.376
0.450 0.254 0.876
0.550 0.746 0.124
0.550 0.754 0.624
0.599 0.566 0.430
0.599 0.934 0.930
0.618 0.506 0.766
0.618 0.994 0.266
0.696 0.134 0.549
0.696 0.366 0.049
0.818 0.110 0.780
0.818 0.390 0.280
0.857 0.510 0.582
0.857 0.990 0.082
0.916 0.746 0.880
0.916 0.754 0.380
0.964 0.073 0.387
0.964 0.427 0.887
```

Output
theoretical density = 5.54 g/cm3
MP2020-corrected energy = -7.7587 eV/atom
relative energy among the computed polymorphs = 84 meV/atom
ΔH_f (0 K) = -1.62 eV/atom

=====

# Na5Zr2Nb2Si5PO24 | the Materials Project | GGA-PBE | optimized geometry
data_Na5Zr2Nb2Si5PO24
_chemical_formula_sum 'Na15 Zr6 Nb6 Si15 P3 O72'
_space_group_name_H-M_alt 'P 1'
_space_group_IT_number 1
_cell_length_a 9.1112
_cell_length_b 9.1153
_cell_length_c 22.8814
_cell_angle_alpha 89.86
_cell_angle_beta 89.92
_cell_angle_gamma 60.05
loop_
_space_group_symop_operation_xyz
'x,y,z'
loop_
_atom_site_label
_atom_site_fract_x
_atom_site_fract_y
_atom_site_fract_z
_atom_site_occupancy
Na1 0.0000 0.0000 0.0000 1
Na2 0.0001 0.6317 0.2439 1
Na3 0.0068 0.6217 0.7490 1
Na4 0.0328 0.9347 0.6604 1
Na5 0.3049 0.2918 0.6596 1
Na6 0.3298 0.3294 0.3307 1
Na7 0.3326 0.9693 0.5735 1
Na8 0.3350 0.9709 0.0865 1
Na9 0.6350 0.6267 0.9998 1
Na10 0.6547 0.3073 0.9154 1
Na11 0.6642 0.2950 0.4182 1
Na12 0.6674 0.6666 0.6631 1
Na13 0.6979 0.6065 0.3298 1
Na14 0.7004 0.9608 0.8306 1
Na15 0.9738 0.9578 0.3310 1
Zr1 0.0022 0.6299 0.5955 1
Zr2 0.0034 0.6318 0.3964 1
Zr3 0.3321 0.9684 0.7305 1
Zr4 0.3344 0.9604 0.2247 1
Zr5 0.6643 0.2976 0.0598 1
Zr6 0.6711 0.2893 0.5566 1
Nb1 0.0062 0.6255 0.8930 1
Nb2 0.3301 0.9685 0.4334 1
Nb3 0.3342 0.9669 0.9337 1
Nb4 0.6724 0.2956 0.2643 1
Nb5 0.6748 0.2968 0.7704 1
Nb6 0.9978 0.6328 0.1022 1
Si1 0.0062 0.9260 0.4959 1
Si2 0.0068 0.3415 0.9974 1
Si3 0.0433 0.2542 0.3288 1
Si4 0.0441 0.9619 0.8304 1
Si5 0.2880 0.6313 0.9967 1
Si6 0.2977 0.3315 0.4961 1
Si7 0.3326 0.2596 0.8297 1
Si8 0.3374 0.6723 0.3301 1
Si9 0.6230 0.9660 0.3293 1
Si10 0.6260 0.6705 0.8309 1
Si11 0.6681 0.0065 0.6648 1
Si12 0.6702 0.5896 0.1609 1
Si13 0.7119 0.9177 0.9955 1
Si14 0.9584 0.2980 0.6633 1
Si15 0.9605 0.0032 0.1608 1
P1 0.3740 0.3034 0.1636 1
P2 0.3827 0.5826 0.6644 1
P3 0.7010 0.6359 0.4960 1
O1 0.0098 0.4460 0.3363 1
O2 0.0103 0.8022 0.8373 1
O3 0.0291 0.8129 0.5554 1
O4 0.0324 0.4349 0.0543 1
O5 0.1338 0.1272 0.3860 1
O6 0.1387 0.9889 0.8874 1
O7 0.1443 0.9873 0.1668 1
O8 0.1463 0.1284 0.6685 1
O9 0.1515 0.9339 0.7711 1
O10 0.1641 0.6644 0.0531 1
O11 0.1670 0.1715 0.2736 1
O12 0.1674 0.4466 0.8381 1
O13 0.1727 0.1507 0.9888 1
O14 0.1730 0.6455 0.3360 1
O15 0.1809 0.9363 0.4894 1
O16 0.1826 0.4188 0.5555 1
O17 0.1901 0.6119 0.9391 1
O18 0.2000 0.4661 0.1585 1
O19 0.2038 0.4437 0.4381 1
O20 0.2044 0.5985 0.6602 1
O21 0.2958 0.7962 0.2741 1
O22 0.3016 0.8062 0.9892 1
O23 0.3037 0.1792 0.7703 1
O24 0.3145 0.1433 0.4893 1
O25 0.3557 0.1449 0.1685 1
O26 0.3595 0.7626 0.6710 1
O27 0.3647 0.1272 0.8848 1
O28 0.3733 0.7635 0.3863 1
O29 0.4635 0.3231 0.2196 1
O30 0.4697 0.4696 0.7192 1
O31 0.4792 0.4714 0.9986 1
O32 0.4814 0.3177 0.5003 1
O33 0.4846 0.2802 0.1097 1
O34 0.4915 0.5058 0.6104 1
O35 0.4971 0.0006 0.3862 1
O36 0.5025 0.9803 0.6690 1
O37 0.5045 0.7666 0.8882 1
O38 0.5071 0.7769 0.1668 1
O39 0.5088 0.2671 0.8246 1